Activity:
What is needed: start at the top of the block underneath and give back each line, ending with the one that has "K15 0.1896".

Data:
<<<
[1]
Below is a relaxed K7LiSi8 crystal, with properties calculated at the PBE-GGA level.

a = 12.5613 Å, b = 12.5613 Å, c = 12.5613 Å
α = 90.00°, β = 90.00°, γ = 90.00°
Fractional positions:
Si1 0.9323 0.0525 0.6979
Si2 0.5677 0.5525 0.6979
Si3 0.5525 0.6979 0.5677
Si4 0.4475 0.1979 0.9323
Si5 0.6954 0.6954 0.6954
Si6 0.8021 0.0677 0.5525
Si7 0.8021 0.4323 0.0525
Si8 0.9475 0.3021 0.0677
Si9 0.0677 0.5525 0.8021
Si10 0.1979 0.9323 0.4475
Si11 0.3046 0.3046 0.3046
Si12 0.8046 0.1954 0.6954
Si13 0.9323 0.4475 0.1979
Si14 0.5677 0.9475 0.1979
Si15 0.5525 0.8021 0.0677
Si16 0.6954 0.8046 0.1954
Si17 0.1954 0.6954 0.8046
Si18 0.3021 0.4323 0.4475
Si19 0.4323 0.0525 0.8021
Si20 0.9475 0.1979 0.5677
Si21 0.4475 0.3021 0.4323
Si22 0.6979 0.5677 0.5525
Si23 0.0677 0.9475 0.3021
Si24 0.3021 0.0677 0.9475
Si25 0.3046 0.1954 0.8046
Si26 0.6979 0.9323 0.0525
Si27 0.4323 0.4475 0.3021
Si28 0.1979 0.5677 0.9475
Si29 0.0525 0.6979 0.9323
Si30 0.0525 0.8021 0.4323
Si31 0.8046 0.3046 0.1954
Si32 0.1954 0.8046 0.3046
K1 0.2269 0.1896 0.5435
K2 0.1896 0.5435 0.2269
K3 0.9565 0.7269 0.1896
K4 0.3104 0.0435 0.2269
K5 0.8104 0.0435 0.2731
K6 0.4565 0.7269 0.3104
K7 0.7731 0.6896 0.9565
K8 0.2731 0.8104 0.0435
K9 0.0000 0.5000 0.5000
K10 0.2269 0.3104 0.0435
K11 0.3104 0.4565 0.7269
K12 0.0435 0.2269 0.3104
K13 0.6896 0.5435 0.2731
K14 0.4565 0.7731 0.8104
K15 0.1896 0.9565 0.7269
K16 0.5000 0.0000 0.5000
K17 0.5435 0.2269 0.1896
K18 0.6896 0.9565 0.7731
K19 0.7269 0.1896 0.9565
K20 0.0435 0.2731 0.8104
K21 0.5000 0.5000 0.0000
K22 0.2731 0.6896 0.5435
K23 0.8104 0.4565 0.7731
K24 0.7269 0.3104 0.4565
K25 0.9565 0.7731 0.6896
K26 0.5435 0.2731 0.6896
K27 0.0000 0.0000 0.0000
K28 0.7731 0.8104 0.4565
Li1 0.5000 0.0000 0.0000
Li2 0.0000 0.5000 0.0000
Li3 0.0000 0.0000 0.5000
Li4 0.5000 0.5000 0.5000

Output
As for the energy relative to the elements: -104.6 kJ/mol of formula units.

=====

[2]
Below is a relaxed K3LiSi4 crystal, with properties calculated at the PBE-GGA level.

a = 7.6739 Å, b = 9.7898 Å, c = 12.2952 Å
α = 90.00°, β = 90.00°, γ = 90.00°
Fractional positions:
Si1 0.2845 0.3715 0.5480
Si2 0.7155 0.8715 0.4520
Si3 0.4885 0.7500 0.0827
Si4 0.8612 0.7500 0.6007
Si5 0.1388 0.2500 0.3993
Si6 0.5115 0.2500 0.9173
Si7 0.2155 0.6285 0.0480
Si8 0.3612 0.7500 0.8993
Si9 0.9885 0.7500 0.4173
Si10 0.7155 0.6285 0.4520
Si11 0.7845 0.1285 0.9520
Si12 0.2155 0.8715 0.0480
Si13 0.0115 0.2500 0.5827
Si14 0.6388 0.2500 0.1007
Si15 0.2845 0.1285 0.5480
Si16 0.7845 0.3715 0.9520
Li1 0.5000 0.5000 0.0000
Li2 0.0000 0.0000 0.5000
Li3 0.0000 0.5000 0.5000
Li4 0.5000 0.0000 0.0000
K1 0.3460 0.9452 0.3065
K2 0.8447 0.7500 0.8989
K3 0.6540 0.4452 0.6935
K4 0.1540 0.4452 0.8065
K5 0.6540 0.0548 0.6935
K6 0.3447 0.7500 0.6011
K7 0.1540 0.0548 0.8065
K8 0.8460 0.5548 0.1935
K9 0.8460 0.9452 0.1935
K10 0.3460 0.5548 0.3065
K11 0.1553 0.2500 0.1011
K12 0.6553 0.2500 0.3989

Output
As for the energy relative to the elements: -58.8 kJ/mol of formula units. For the total magnetization, the calculation gives 0.00 μB/cell.

=====

[3]
Below is a relaxed K2LiSn4 crystal, with properties calculated at the PBE-GGA level.

a = 15.7810 Å, b = 15.7810 Å, c = 19.1862 Å
α = 65.72°, β = 65.72°, γ = 89.97°
Fractional positions:
Sn1 0.7725 0.7643 0.6168
Sn2 0.3931 0.7619 0.8724
Sn3 0.6939 0.4015 0.9473
Sn4 0.3654 0.3186 0.0305
Sn5 0.2626 0.7376 0.3674
Sn6 0.1134 0.2643 0.6172
Sn7 0.2381 0.6069 0.6276
Sn8 0.7619 0.3931 0.3724
Sn9 0.7367 0.8514 0.3644
Sn10 0.6409 0.0972 0.0493
Sn11 0.2643 0.1134 0.1172
Sn12 0.2357 0.2275 0.8832
Sn13 0.6346 0.6814 0.9695
Sn14 0.3460 0.8077 0.5527
Sn15 0.9028 0.3591 0.4507
Sn16 0.6540 0.1923 0.4473
Sn17 0.2633 0.1486 0.6356
Sn18 0.5963 0.7951 0.0726
Sn19 0.8672 0.9040 0.4269
Sn20 0.0972 0.6409 0.5493
Sn21 0.2389 0.8729 0.8715
Sn22 0.7611 0.1271 0.1285
Sn23 0.1340 0.3489 0.9662
Sn24 0.6325 0.1060 0.6286
Sn25 0.3489 0.1340 0.4662
Sn26 0.2049 0.4037 0.4274
Sn27 0.1923 0.6540 0.9473
Sn28 0.5985 0.3061 0.5527
Sn29 0.8514 0.7367 0.8644
>>>

Written answer:
[1]
Below is a relaxed K7LiSi8 crystal, with properties calculated at the PBE-GGA level.

a = 12.5613 Å, b = 12.5613 Å, c = 12.5613 Å
α = 90.00°, β = 90.00°, γ = 90.00°
Fractional positions:
Si1 0.9323 0.0525 0.6979
Si2 0.5677 0.5525 0.6979
Si3 0.5525 0.6979 0.5677
Si4 0.4475 0.1979 0.9323
Si5 0.6954 0.6954 0.6954
Si6 0.8021 0.0677 0.5525
Si7 0.8021 0.4323 0.0525
Si8 0.9475 0.3021 0.0677
Si9 0.0677 0.5525 0.8021
Si10 0.1979 0.9323 0.4475
Si11 0.3046 0.3046 0.3046
Si12 0.8046 0.1954 0.6954
Si13 0.9323 0.4475 0.1979
Si14 0.5677 0.9475 0.1979
Si15 0.5525 0.8021 0.0677
Si16 0.6954 0.8046 0.1954
Si17 0.1954 0.6954 0.8046
Si18 0.3021 0.4323 0.4475
Si19 0.4323 0.0525 0.8021
Si20 0.9475 0.1979 0.5677
Si21 0.4475 0.3021 0.4323
Si22 0.6979 0.5677 0.5525
Si23 0.0677 0.9475 0.3021
Si24 0.3021 0.0677 0.9475
Si25 0.3046 0.1954 0.8046
Si26 0.6979 0.9323 0.0525
Si27 0.4323 0.4475 0.3021
Si28 0.1979 0.5677 0.9475
Si29 0.0525 0.6979 0.9323
Si30 0.0525 0.8021 0.4323
Si31 0.8046 0.3046 0.1954
Si32 0.1954 0.8046 0.3046
K1 0.2269 0.1896 0.5435
K2 0.1896 0.5435 0.2269
K3 0.9565 0.7269 0.1896
K4 0.3104 0.0435 0.2269
K5 0.8104 0.0435 0.2731
K6 0.4565 0.7269 0.3104
K7 0.7731 0.6896 0.9565
K8 0.2731 0.8104 0.0435
K9 0.0000 0.5000 0.5000
K10 0.2269 0.3104 0.0435
K11 0.3104 0.4565 0.7269
K12 0.0435 0.2269 0.3104
K13 0.6896 0.5435 0.2731
K14 0.4565 0.7731 0.8104
K15 0.1896 0.9565 0.7269